⏰ Tick. Tock. Time-saving Tips for Founders

No time to waste

There are 50 days left in 2022 and we wanna help you make the most of it. You've got a startup to build and ain't nobody got time to waste.

Latest News

From layoffs to a liquidity crisis, the $8 badge rollout to election overload – this week may feel full of doom and gloom in startup land but last week's menu of predictability trends should help you buck the bad vibes and grab the reins of you startup idea.

Time to saddle up and dive into the goods. Giddy up!🏇🏽

Today's spread

😎 Top Notch Startup Newsletters
💗 Startup Ideas Gaining Upvotes
🙌🏼 Members to High-Five

Check Back In for New Ideas

➕ Smash that subscribe button

The internet can be a noisy place. There are millions of posts, articles and videos vying for your eyeballs every second 👀. So when you want the best-curated content without spending hours searching the web, a well crafted newsletter can be your savior.

They're short, simple, and surface the top content to keep you up to date with what's going on in a specific industry or niche. Newsletters can provide helpful tips and tricks to help you succeed while saving your most valuable commodity - your time.⏱️

Now, we all know your inbox is a precious place. So do yourself a favor and take 2 minutes to unsubscribe from pesky Black Friday deals that are on no one's holiday list to make room for these worthwhile reads that will fill up your bucket without draining your time tank.🔋

🥁Drumroll for our favs

  • First 1000 by Ali Abouelatta - A weekly newsletter about how founders got their first 1000 customers
  • Founders by David Senra - Learn from history's greatest entrepreneurs. Every week David reads a biography of an entrepreneur and finds ideas you can use in your work
  • Kernal - A diamond in the rough 💎 This weekly gem is packed with early-stage startup news and fresh founders making waves. Now do as The Weeknd says and "Tell Your Friends"

Tell Your Friends about Kernal

  • Volv - The best content on the internet in 9-second reads, in real-time.
  • Failory by Nicholas Cerdeira - Weekly interviews, articles, and 3 curated resources for Startup Founders
  • Zero to Marketing by Andrea Bosoni - Monthly marketing case studies
  • YCombinator - For startups, this newsletter is a must as it provides sharp insights into funding projects, business technology, and how-tos, assisting you with getting your company off the ground.
  • The Line by Tech Stars - Ideas & insights from the Techstars network
  • 5-Bullet Friday by Tim Ferris - 5 Coolest things Tim's found or explored that week, directly into your inbox  
  • Refind - Every day we pick the most relevant links from around the web for you. To learn something new. To get inspired. To move forward.
  • 3Things by fellow Kernaler Elaine Zelby - 3 startup ideas shared every Sunday. Claim one to build here.
Miss an NL you love? Tweet us your favourite and we'll add it to our ever-growing directory of resources, tools, and guides. Let us know what else you'd like to see.

🌱 Startup Ideas of the Week

Deal Notes: This experienced Founder is getting serious 👀

┌──
Starting from DFT lattice parameters and positions (GGA-PBE), the XRD peak list of ScSnO3 was calculated for Cu Kα X-rays.
Peak positions follow from Bragg's law for the DFT cell and can differ from measured ones.

Structural model:
```
5
Lattice="4.1074 0.0000 0.0000 0.0000 4.1074 0.0000 0.0000 0.0000 4.1074" Properties=species:S:1:pos:R:3 pbc="T T T"
Sc 0.0000 0.0000 0.0000
Sn 2.0537 2.0537 2.0537
O 0.0000 0.0000 2.0537
O 0.0000 2.0537 0.0000
O 2.0537 0.0000 0.0000
```

Main lines, in order of rising 2θ (2θ from 5° to 70°):
2θ (°)	Rel. int.
21.64	17
30.79	100
37.94	27
44.10	38
49.63	10
54.74	41
64.13	23
68.54	6

***

Starting from DFT lattice parameters and positions (GGA-PBE), the XRD peak list of SrTb2Sc2O7 was calculated for Cu Kα X-rays.
Peak positions follow from Bragg's law for the DFT cell and can differ from measured ones.

Structural model:
```
12
Lattice="-2.0230 2.0230 10.1206 2.0230 -2.0230 10.1206 2.0230 2.0230 -10.1206" Properties=species:S:1:pos:R:3 pbc="T T T"
Sr 0.0000 0.0000 0.0000
Tb 0.0000 0.0000 3.7047
Tb 0.0000 0.0000 16.5365
Sc 0.0000 0.0000 8.0412
Sc 0.0000 0.0000 12.2000
O 2.0230 0.0000 2.3049
O 0.0000 0.0000 5.8357
O 2.0230 0.0000 7.8157
O 0.0000 0.0000 10.1206
O 0.0000 2.0230 2.3049
O 0.0000 0.0000 14.4056
O 0.0000 2.0230 7.8157
```

Main lines, in order of rising 2θ (2θ from 5° to 70°):
2θ (°)	Rel. int.
8.74	15
22.41	11
25.67	18
26.42	10
31.26	100
41.38	17
44.80	30
46.18	6
52.76	6
54.81	9
55.63	31
65.21	14

***

Starting from DFT lattice parameters and positions (GGA-PBE), the XRD peak list of TbScO3 was calculated for Cu Kα X-rays.
Peak positions follow from Bragg's law for the DFT cell and can differ from measured ones.

Structural model:
```
20
Lattice="5.7633 0.0000 0.0000 0.0000 7.9995 0.0000 0.0000 0.0000 5.4733" Properties=species:S:1:pos:R:3 pbc="T T T"
Tb 0.3574 1.9999 0.1087
Tb 2.5243 5.9996 2.8454
Tb 3.2390 1.9999 2.6279
Tb 5.4059 5.9996 5.3646
Sc 0.0000 0.0000 2.7367
Sc 0.0000 3.9998 2.7367
Sc 2.8817 0.0000 0.0000
Sc 2.8817 3.9998 0.0000
O 0.3176 5.9996 2.0344
O 1.1205 4.5379 4.4224
O 1.1205 7.4614 4.4224
O 1.7612 0.5382 1.6857
O 1.7612 3.4616 1.6857
O 2.5640 1.9999 4.7711
O 3.1993 5.9996 0.7023
O 4.0021 4.5379 3.7876
O 4.0021 7.4614 3.7876
O 4.6428 0.5382 1.0509
O 4.6428 3.4616 1.0509
O 5.4457 1.9999 3.4389
```

Main lines, in order of rising 2θ (2θ from 5° to 70°):
2θ (°)	Rel. int.
└──
**Here the piece continues:**

Follow Along Before the Launch in Late Q1 2023

Unrelated to this text: crystal structures =
+++
For SrCr7N10, a cell relaxed with GGA-PBE gives the theoretical powder diffraction line list in this record (Cu Kα (weighted mean of Kα1 and Kα2)).
Lines closer than 0.1° are merged.

Structural model:
Unit cell a=7.0945 b=6.8598 c=10.2725 alpha=90.00 beta=104.53 gamma=90.00
Element x y z (fractional)
Sr (0.0000, 0.0307, 0.0000)
Sr (0.0000, 0.9693, 0.5000)
Cr (0.1872, 0.4144, 0.4658)
Cr (0.1872, 0.5856, 0.9658)
Cr (0.4038, 0.3855, 0.7913)
Cr (0.4038, 0.6145, 0.2913)
Cr (0.4503, 0.0210, 0.4056)
Cr (0.4503, 0.9790, 0.9056)
Cr (0.5514, 0.3806, 0.0844)
Cr (0.5514, 0.6194, 0.5844)
Cr (0.6350, 0.0164, 0.2230)
Cr (0.6350, 0.9836, 0.7230)
Cr (0.7708, 0.3871, 0.3669)
Cr (0.7708, 0.6129, 0.8669)
Cr (0.9563, 0.3480, 0.7042)
Cr (0.9563, 0.6520, 0.2042)
N (0.1699, 0.3953, 0.8394)
N (0.1699, 0.6047, 0.3394)
N (0.2637, 0.1833, 0.4152)
N (0.2637, 0.8167, 0.9152)
N (0.3416, 0.4965, 0.1247)
N (0.3416, 0.5035, 0.6247)
N (0.4386, 0.1330, 0.7554)
N (0.4386, 0.8670, 0.2554)
N (0.5181, 0.1215, 0.0593)
N (0.5181, 0.8785, 0.5593)
N (0.6231, 0.4503, 0.9309)
N (0.6231, 0.5497, 0.4309)
N (0.6592, 0.1533, 0.3831)
N (0.6592, 0.8467, 0.8831)
N (0.7788, 0.4663, 0.1953)
N (0.7788, 0.5337, 0.6953)
N (0.8481, 0.1167, 0.7268)
N (0.8481, 0.8833, 0.2268)
N (0.9722, 0.3613, 0.5281)
N (0.9722, 0.6387, 0.0281)

Most intense lines, 15 to 90 degrees two-theta, in order of rising 2θ:
- 18.9°, 4.703 Å, I 67
- 26.0°, 3.431 Å, I 100
- 27.9°, 3.201 Å, I 47
- 28.4°, 3.139 Å, I 74
- 29.1°, 3.071 Å, I 44
- 29.5°, 3.029 Å, I 82
- 29.9°, 2.985 Å, I 54
- 30.6°, 2.922 Å, I 59
- 37.6°, 2.391 Å, I 69
- 37.7°, 2.384 Å, I 84



For Ta3Cr3N, a cell relaxed with GGA-PBE gives the theoretical powder diffraction line list in this record (Cu Kα (weighted mean of Kα1 and Kα2)).
Lines closer than 0.1° are merged.

Structural model:
Unit cell a=8.1054 b=8.1054 c=8.1054 alpha=60.00 beta=60.00 gamma=60.00
Element x y z (fractional)
Ta (0.0684, 0.0684, 0.6816)
Ta (0.0684, 0.6816, 0.0684)
Ta (0.0684, 0.6816, 0.6816)
Ta (0.3184, 0.3184, 0.9316)
Ta (0.3184, 0.9316, 0.3184)
Ta (0.3184, 0.9316, 0.9316)
Ta (0.6816, 0.0684, 0.0684)
Ta (0.6816, 0.0684, 0.6816)
Ta (0.6816, 0.6816, 0.0684)
Ta (0.9316, 0.3184, 0.3184)
Ta (0.9316, 0.3184, 0.9316)
Ta (0.9316, 0.9316, 0.3184)
Cr (0.0000, 0.5000, 0.5000)
Cr (0.2962, 0.2962, 0.2962)
Cr (0.2962, 0.2962, 0.6113)
Cr (0.2962, 0.6113, 0.2962)
Cr (0.3887, 0.7038, 0.7038)
Cr (0.5000, 0.0000, 0.5000)
Cr (0.5000, 0.5000, 0.0000)
Cr (0.5000, 0.5000, 0.5000)
Cr (0.6113, 0.2962, 0.2962)
Cr (0.7038, 0.3887, 0.7038)
Cr (0.7038, 0.7038, 0.3887)
Cr (0.7038, 0.7038, 0.7038)
N (0.0000, 0.0000, 0.0000)
N (0.0000, 0.0000, 0.5000)
N (0.0000, 0.5000, 0.0000)
N (0.5000, 0.0000, 0.0000)

Most intense lines, 15 to 90 degrees two-theta, in order of rising 2θ:
- 31.2°, 2.866 Å, I 29
- 34.1°, 2.630 Å, I 32
- 38.5°, 2.340 Å, I 59
- 40.9°, 2.206 Å, I 100
- 44.7°, 2.026 Å, I 29
- 57.4°, 1.605 Å, I 18
- 66.8°, 1.400 Å, I 16
- 69.6°, 1.351 Å, I 51
- 71.2°, 1.324 Å, I 11
- 84.0°, 1.152 Å, I 16

~~~~~

No. 1
+++

Deal Notes: Paolo is posting updates daily

Upvote to stay updated!
Want to be featured here next week? Remember to include a cover photos so we can feature them here

## Inserted here: materials data
Structure and calculated powder X-ray diffraction pattern of Sn4As3S (a cell relaxed with PBE; λ = 1.5418 Å (Cu Kα)).
Kinematic intensities with the Lorentz-polarization factor, no thermal factor.

Atomic structure:
Unit cell a=4.107 b=7.155 c=7.155 alpha=69.38 beta=90.00 gamma=90.00
Positions (direct):
Sn 0.000 0.000 0.000
Sn 0.000 0.492 0.492
Sn 0.500 0.009 0.505
Sn 0.500 0.505 0.009
As 0.000 0.259 0.259
As 0.500 0.262 0.759
As 0.500 0.759 0.262
S 0.000 0.770 0.770

Top 10 peaks for 2θ = 10–90°, most intense first:
d = 2.892 Å, 30.93°, I 100.0; d = 2.062 Å, 43.91°, I 74.2; d = 2.942 Å, 30.39°, I 50.7; d = 1.298 Å, 72.90°, I 25.8; d = 1.684 Å, 54.50°, I 19.7; d = 1.674 Å, 54.84°, I 19.4; d = 2.053 Å, 44.10°, I 18.9; d = 2.036 Å, 44.50°, I 18.4; d = 1.311 Å, 72.04°, I 15.9; d = 1.187 Å, 80.99°, I 13.1

~~~~~

Computed powder X-ray diffraction pattern of Er4ScTe2 for Cu Kα, from DFT lattice parameters and positions (PBE).
No peak broadening, texture or thermal motion is included.

Most intense lines, 2θ = 10–90°, most intense first:
Position (°2θ)	I_rel
33.9	100
32.9	97
26.4	89
48.7	61
60.1	28
56.2	26
48.0	24
23.8	20
81.4	20
60.7	17

Crystal structure
Lattice parameters (Å, degrees): 5.285 5.285 15.885 90.00 90.00 90.00
Sites, in units of the cell vectors:
Er  0.000  0.000  0.181
Er  0.000  0.000  0.819
Er  0.000  0.500  0.000
Er  0.000  0.500  0.500
Er  0.500  0.000  0.000
Er  0.500  0.000  0.500
Er  0.500  0.500  0.319
Er  0.500  0.500  0.681
Sc  0.000  0.000  0.000
Sc  0.500  0.500  0.500
Te  0.000  0.000  0.366
Te  0.000  0.000  0.634
Te  0.500  0.500  0.134
Te  0.500  0.500  0.866

Computed powder X-ray diffraction pattern of Er6ScTe8 for Cu Kα, from DFT lattice parameters and positions (PBE).
No peak broadening, texture or thermal motion is included.

Most intense lines, 2θ = 10–90°, most intense first:
Position (°2θ)	I_rel
29.4	100
42.1	76
69.1	34
52.2	27
76.9	25
61.0	13
14.6	10
20.7	9
33.0	6
36.2	5

Crystal structure
Lattice parameters (Å, degrees): 8.592 8.592 8.592 60.00 60.00 60.00
Sites, in units of the cell vectors:
Er  0.000  0.000  0.500
Er  0.000  0.500  0.000
Er  0.000  0.500  0.500
Er  0.500  0.000  0.000
Er  0.500  0.000  0.500
Er  0.500  0.500  0.000
Sc  0.000  0.000  0.000
Te  0.249  0.249  0.751
Te  0.249  0.751  0.249
Te  0.249  0.751  0.751
Te  0.250  0.250  0.250
Te  0.750  0.750  0.750
Te  0.751  0.249  0.249
Te  0.751  0.249  0.751
Te  0.751  0.751  0.249

Computed powder X-ray diffraction pattern of Er2TmScTe6 for Cu Kα, from DFT lattice parameters and positions (PBE).
No peak broadening, texture or thermal motion is included.

Most intense lines, 2θ = 10–90°, most intense first:
Position (°2θ)	I_rel
27.0	100
35.3	91
41.5	59
16.1	32
55.6	24
46.3	22
21.9	22
71.7	21
69.6	20
50.2	16

Crystal structure
Lattice parameters (Å, degrees): 8.149 8.149 8.149 55.11 55.11 55.11
Sites, in units of the cell vectors:
Er  0.000  0.000  0.000
Er  0.499  0.499  0.499
Tm  0.183  0.183  0.183
Sc  0.682  0.682  0.682

See what's trending on Kernal

Adam Thornhill

Speaking of saving time and hitting subscribe on juicy newsletters; meet Adam - Founder of The Podup - Author of Best 3 Podcasts of the Week.  He's the latest feature in our Early Days series, which goes into detail about how founders got to where they are now. Click the link below to see how he turned his notes into a newsletter and follow along for more stories like this!

The Early Days: Building Podup with Adam Thornhill
How many times a week do you ask for Business Podcast recommendations to only heart them in your Spotify app and never go back to listening? If you’re like me, it’s a lot.

More Members to Follow:

  • 👋 Welcoming Elyse Holladay to Kernal - Founder, product-focused generalist, and personal style coach. Start a conversation by sending her a DM on Kernal today.
  • ⭐ 3x Founder + Investor Milun Tesovic knows a thing or two about the startup journey. Give him a follow and nudge him to share his first idea on Kernal.
  • 🔥Serial Maker Elnur Jabarov has shared 10 ideas and has one of this week's hottest ideas on Kernal - Micro-skill courses. Give him a follow and boost his new idea here.

🤣 Laughs of the Week

Know a founder or hustler that should be on Kernal? Send them an invite to help them skip the waitlist. We're rising all tides and would love to have them jump aboard our ship.

A special salute to community members Clark Cave, Dave Eber, Kevin Powell, Seth Fannin, Ron, and other veterans as we thank you for your service this Veterans Day (🇺🇸) and Remembrance Day (🇨🇦).

Now go celebrate that key project you crushed this weekend 🍻

💚 Kernal Fam

How did you like today's newsletter?
🔥 11/10 · 😕 Meh · 😴 Boring Sauce